Michael Levin Bioelectricity 101 Crash Course Lesson 6: Bioelectricity and Development: How Bodies Grow From a Single Cell



Michael Levin Bioelectricity 101 Crash Course Lesson 6: Bioelectricity and Development: How Bodies Grow From a Single Cell Summary

  • Embryonic development is the process by which a single fertilized egg cell (zygote) divides and differentiates to form a complex, multicellular organism.
  • This process is not solely determined by the genetic code (DNA); bioelectrical signals play a crucial, instructive role.
  • Bioelectric patterns, established by ion channels, ion pumps, and gap junctions, act as a kind of “blueprint” or “coordinate system” for development.
  • These patterns provide positional information to cells, guiding their migration, proliferation, and differentiation. They tell them what to become and where to go.
  • Bioelectric signals are dynamic, changing throughout development in a precisely orchestrated way.
  • Early bioelectric cues can have long-lasting effects on the body plan, influencing the formation of organs and limbs.
  • Disruptions in bioelectric signaling during development can lead to birth defects.
  • Researchers can manipulate bioelectric signals to alter development, demonstrating the instructive role of these signals. Examples include inducing extra eyes or limbs in frog tadpoles.
  • The bioelectric patterns exists prior to known genetic factors come into the processes.

Michael Levin Bioelectricity 101 Crash Course Lesson 6: Bioelectricity and Development: How Bodies Grow From a Single Cell

Think about the most incredible transformation you can imagine. Maybe it’s a caterpillar turning into a butterfly. Now, multiply that by a million, and you might get close to the wonder of embryonic development. This is the process by which a single, fertilized egg cell – the zygote – divides and transforms itself into a complex, multicellular organism, with trillions of cells, all organized into intricate tissues, organs, and body structures. How does this happen?

For a long time, biologists focused primarily on the genetic code – the DNA – as the “master plan” for development. And DNA is undoubtedly essential. It contains the instructions for building all the proteins that make up cells and tissues. But DNA is like a parts list for a very complicated machine. It tells you what components you need, but it doesn’t tell you how to assemble them in the right order and in the right place.

Imagine trying to build a car just from a list of parts, with no diagrams, no instructions on how to put them together. It would be impossible! Similarly, the genetic code alone cannot fully explain the astonishing precision and complexity of embryonic development.

This is where bioelectricity comes in. The bioelectrical signals that we’ve been exploring in the previous lessons – membrane potentials, ion flows, voltage gradients, and gap junction communication – play a crucial, instructive role in development. They’re not just a byproduct of development; they actively guide the process.

Think of it like this: DNA is the hardware (the physical components), and bioelectricity is the software (the instructions and information processing) that tells the hardware what to do and how to organize itself.

How does this “bioelectric software” work? It’s all about creating patterns. The combined activity of ion channels, ion pumps, and gap junctions establishes a dynamic, spatially organized pattern of voltages across the developing embryo. This pattern is like a bioelectric “blueprint” or “coordinate system.” It provides positional information to the cells. It tells them:

  • Where they are: “You’re in the head region, not the tail region.”
  • What to become: “You should become a nerve cell, not a muscle cell.”
  • Where to go: “You need to migrate to this specific location to form part of the eye.”

This bioelectric pattern is not static; it changes over time, in a precisely orchestrated sequence. These changes are driven by the opening and closing of ion channels, the activity of ion pumps, and the regulation of gap junction communication. Early cues in the process can have long-term and enormous consequences for development, such as deciding major structural arrangements like head or limb placement. The entire layout of your whole body and what cells become and do and where the go are largely mediated by these forces.

It’s like a complex dance, where the dancers (the cells) are guided by the music (the bioelectric signals). The music isn’t just background noise; it’s providing instructions for the dance.

Let’s consider some specific examples of how bioelectricity influences development:

  • Early embryonic patterning: Even at very early stages of development, before organs begin to form, there are bioelectric patterns that establish the basic body plan – the head-to-tail axis, the left-right asymmetry, and so on.
  • Neural tube formation: The neural tube, which gives rise to the brain and spinal cord, forms through a process that is guided by bioelectric signals.
  • Eye development: The formation of the eye is a complex process that involves a series of inductive signals between different tissues. Bioelectric signals play a crucial role in this induction, specifying where the eye should form and guiding the growth of the different eye structures. Michael Levin has even grown eyes in a frog’s gut. This isn’t genetically altering the code of the cells, simply giving new bioelctric “orders”.
  • Limb development: The outgrowth and patterning of limbs (arms, legs, wings, fins) is also controlled by bioelectric signals.
  • Heart development. The heart and its beating is another electrical marvel.
  • Organ placement and shape formation. Pretty much, all large-scale anatomical and arrangement changes during an organisms developments relies, crucially, on the guidance of bioelectrical inputs!

Perhaps the most dramatic evidence for the instructive role of bioelectricity comes from experiments where researchers manipulate the bioelectric signals during development. Michael Levin’s lab has done some groundbreaking work in this area. For example:

  • Frog tadpoles with extra eyes: By altering the membrane potential of certain cells in tadpoles, they were able to induce the formation of extra eyes in locations where eyes normally don’t form – even on the tadpole’s tail or gut. This shows that the bioelectric signal can override the normal developmental program and induce the formation of a complex organ in an unexpected location.
  • Flatworms with altered head shape: As we discussed in previous lessons, by manipulating gap junction communication in planarians, Levin’s lab can create worms with two heads, or even worms with no heads. This demonstrates that the bioelectric pattern determines the basic body plan.

These experiments show that bioelectricity is not just a passive consequence of development; it’s an active player, providing instructions to the cells. It’s a form of “biological software” that can be reprogrammed, leading to dramatic changes in the body plan.

What happens if bioelectric signaling goes wrong during development? Sadly, this can lead to birth defects. Disruptions in ion channel function, gap junction communication, or other aspects of the bioelectric machinery can interfere with the normal developmental program, causing abnormalities in the formation of organs or body structures. For example, a disruption in a gene associated with heart cells’ ability to properly connect via the essential gap junctions. The heart, an electrical powerhouse that contracts to beat rhythmically, crucially relies on electricity!

Understanding the role of bioelectricity in development is not just about satisfying our scientific curiosity; it has profound implications for medicine. If we can learn to “read” and “write” the bioelectric code, we might be able to:

  • Prevent birth defects: By correcting aberrant bioelectric signals during pregnancy.
  • Regenerate damaged tissues and organs: By re-establishing the correct bioelectric patterns.
  • Develop new cancer therapies: By normalizing the disrupted bioelectric signals in tumors.

This is the grand vision of bioelectric medicine: a new era of therapies based on understanding and controlling the “electrical language” of cells, opening up possibilities that were once considered science fiction.

Michael Levin Bioelectricity 101 Crash Course Lesson 6: Bioelectricity and Development: How Bodies Grow From a Single Cell Quiz

1. What is embryonic development?

A) The process by which a single fertilized egg cell develops into a complex organism.
B) The process by which a caterpillar turns into a butterfly.
C) The process of wound healing.
D) The process of aging.

2. True or False: The genetic code (DNA) is the *sole* determinant of embryonic development.

A) True
B) False

3. What is the “instructive” role of bioelectricity in development?

A) It simply results from cellular processes, and has no further part.
B) Bioelectrical signals actively guide development, providing positional information to cells.
C) Bioelectricity only affects the nervous system.
D) Bioelectricity is unimportant in development.

4. The bioelectric pattern during development can be compared to:

A) A parts list for a machine.
B) A blueprint or coordinate system.
C) A random jumble of voltages.
D) A static, unchanging map.

5. What do bioelectric signals tell cells during development?

A) Nothing
B) What they should become and when.
C) Where to die.
D) What they should become and where to go inside the tissue.

6. Which factors create the bioelectric signals important in development?

A) Ion channels only.
B) Gap junctions only.
C) Ion channels, ion pumps, and gap junctions.
D) Genetic Signals only.

7. True or False: Bioelectric signals are static throughout development.

A) True.
B) False.

8. Experiments manipulating bioelectric signals during development have shown that:

A) Bioelectricity has no effect on development.
B) Bioelectric signals can override the normal developmental program and induce the formation of structures in unexpected locations.
C) Bioelectricity only affects the color of cells.
D) Bioelectricity is only important in plants.

9. Disruptions in bioelectric signaling during development can lead to:

A) Superpowers.
B) Increased intelligence.
C) Birth defects.
D) Longer lifespan.

10. Michael Levin’s lab has conducted experiments involving:

A) Creating mice with wings
B) Inducing extra eyes in frog tadpoles.
C) Growing human limbs on pigs
D) Turning fish into mammals

11. The initial steps in a zygote involve….?

A) Immediate large-scale chemical change, no electrical fields.
B) No signals are required, it self-starts without further signals.
C) Rapid bioelectrical signals, which begin setting out important information to guide the development, that is set *before* known chemical factors start coming into effect.
D) Bioelectricity only comes into play for nervous cells.

12. Which represents the DNA and bioelectric relationship more closely?

A) DNA and Bioelectricity have zero overlap
B) DNA provides what cells could become, while the voltage landscape provide when, where and what exact final roles they end up playing
C) The DNA is most dominant, bioelctric signals do not contribute to much in its presence.
D) None of the above

13. What major transformations rely on Bioelectricity?

A) Organ development and placement
B) Early embryonic patterns setting up body plans.
C) Growth of entire limbs and sections of the body.
D) All of the above.

14. Which best captures an “instructive” force, with a home construction analogy?

A) The bricks alone will not guide its assembly.
B) Bioelectricity provides important inputs.
C) A blue print and a foreman who “directs” where materials ought to be placed, represents instructive roles.
D) All of the above

15. Bioelectricity provides which to cells:

A) Where it is
B) What type it is/ ought to become.
C) Where to go
D) All of the above.

16. An organism represents:

A) Trillions of independent cells.
B) A very loose collection, working without “knowing” its neighbor
C) Trillions of cells cooperating at scale.
D) All of the above

17. What happens before large anatomical changes, according to bioelectricity studies?

A) Bioelectric fields shift around, before cells alter expressions.
B) Nothing changes before anatomy shifts, it occurs altogether.
C) Chemical signals.
D) All of the above

18. By being able to control bioelectric fields during critical growth periods in animals’ lives, it implies bioengineers will have an ability to do….?

A) …grow any structure.
B) ….Control tumors by reintegrating it back into the tissue’s larger program
C) Repair congenital defects.
D) All of the above

19. True or false: If we gain the ability to master bioelectricity, we can eventually influence the building, re-building, repair and maintenance of large anatomical structures?

A) True
B) False

20. How crucial is bioelctricity in living tissues?

A) It plays an extremely important part that can drastically override prior knowledge of life, especially development and regneration.
B) Minor, trivial at best.
C) It is impossible to say
D) Only relevant for neuro-scientists

Michael Levin Bioelectricity 101 Crash Course Lesson 6: Bioelectricity and Development: How Bodies Grow From a Single Cell Answer Sheet

1. A

2. B

3. B

4. B

5. D

6. C

7. B

8. B

9. C

10. B

11. C

*i*
A geometry-optimized Li2CeAl structure, computed with PBE.

## Properties
ρ	2.82	g cm⁻³
space-group type	P-1, No. 2

Cell lengths 5.277, 5.282, 5.310 Å; angles 119.64, 90.13, 119.16 degrees
Sites, in units of the cell vectors:
Li (0.250, 0.000, 0.250)
Li (0.750, 0.000, 0.750)
Ce (0.000, 0.500, 0.500)
Al (0.500, 0.500, 0.000)

*ii*
A geometry-optimized Li2CeAl structure, computed with PBE.

## Properties
ρ	3.77	g cm⁻³
space-group type	Fm-3m, No. 225

Cell lengths 4.833, 4.833, 4.833 Å; angles 60.00, 60.00, 60.00 degrees
Sites, in units of the cell vectors:
Li (0.250, 0.250, 0.250)
Li (0.750, 0.750, 0.750)
Ce (0.000, 0.000, 0.000)
Al (0.500, 0.500, 0.500)

Most stable structure: *ii*

*i*
A geometry-optimized CeMg14Al structure, computed with PBE.

## Properties
ρ	2.28	g cm⁻³
space-group type	P-6m2, No. 187

Cell lengths 6.433, 6.433, 10.321 Å; angles 90.00, 90.00, 120.00 degrees
Sites, in units of the cell vectors:
Ce (0.000, 0.000, 0.000)
Mg (0.014, 0.507, 0.000)
Mg (0.166, 0.332, 0.260)
Mg (0.166, 0.332, 0.740)
Mg (0.166, 0.834, 0.260)
Mg (0.166, 0.834, 0.740)
Mg (0.493, 0.507, 0.000)
Mg (0.493, 0.986, 0.000)
Mg (0.503, 0.005, 0.500)
Mg (0.503, 0.497, 0.500)
Mg (0.667, 0.333, 0.238)
Mg (0.667, 0.333, 0.762)
Mg (0.668, 0.834, 0.260)
Mg (0.668, 0.834, 0.740)
Mg (0.995, 0.497, 0.500)
Al (0.000, 0.000, 0.500)

*ii*
A geometry-optimized CeMg14Al structure, computed with PBE.

## Properties
ρ	2.24	g cm⁻³
space-group type	Amm2, No. 38

Cell lengths 10.337, 6.513, 6.513 Å; angles 59.03, 90.00, 90.00 degrees
Sites, in units of the cell vectors:
Ce (0.000, 0.000, 0.000)
Mg (0.000, 0.012, 0.493)
Mg (0.000, 0.493, 0.012)
Mg (0.235, 0.658, 0.658)
Mg (0.254, 0.166, 0.656)
Mg (0.254, 0.656, 0.166)
Mg (0.260, 0.164, 0.164)
Mg (0.500, 0.498, 0.498)
Mg (0.500, 0.499, 0.992)
Mg (0.500, 0.992, 0.499)
Mg (0.500, 0.996, 0.996)
Mg (0.740, 0.164, 0.164)
Mg (0.746, 0.166, 0.656)
Mg (0.746, 0.656, 0.166)
Mg (0.765, 0.658, 0.658)
Al (0.000, 0.483, 0.483)

Most stable structure: *ii*

*i*
A geometry-optimized Na4Al3Si3ClO12 structure, computed with PBE.

## Properties
ρ	2.21	g cm⁻³
space-group type	C2, No. 5

Cell lengths 7.784, 7.784, 8.963 Å; angles 125.12, 125.12, 70.54 degrees
Sites, in units of the cell vectors:
Na (0.176, 0.176, 0.493)
Na (0.177, 0.460, 0.145)
Na (0.540, 0.823, 0.855)
Na (0.824, 0.824, 0.507)
Al (0.430, 0.073, 0.256)
Al (0.927, 0.073, 0.000)
Al (0.927, 0.570, 0.744)
Si (0.433, 0.567, 0.000)
Si (0.675, 0.315, 0.244)
Si (0.685, 0.325, 0.756)
Cl (0.178, 0.822, 0.500)
O (0.178, 0.122, 0.216)
O (0.192, 0.522, 0.910)
O (0.477, 0.243, 0.211)
O (0.478, 0.808, 0.090)
O (0.483, 0.406, 0.803)
O (0.594, 0.517, 0.197)
O (0.603, 0.125, 0.518)
O (0.746, 0.117, 0.079)
O (0.757, 0.523, 0.789)
O (0.875, 0.397, 0.482)
O (0.878, 0.822, 0.784)
O (0.883, 0.254, 0.921)

*ii*
A geometry-optimized Na4Al3Si3ClO12 structure, computed with PBE.

## Properties
ρ	2.23	g cm⁻³
space-group type	P-43n, No. 218
largest piezoelectric modulus	0.201	C/m²

12. B

13. D

14. D

15. D

16. C

17. A

18. D

19. A

20. A

迈克尔·莱文 生物电101速成课程 第六课:生物电与发育:身体如何从单个细胞生长 摘要

  • 胚胎发育是单个受精卵细胞(合子)分裂和分化形成复杂多细胞生物的过程。
  • 这个过程不仅仅由遗传密码 (DNA) 决定;生物电信号起着至关重要的指导作用。
  • 由离子通道、离子泵和间隙连接建立的生物电模式充当发育的“蓝图”或“坐标系”。
  • 这些模式为细胞提供位置信息,指导它们的迁移、增殖和分化。它们告诉细胞要变成什么和去哪里
  • 生物电信号是动态的,在整个发育过程中以精确编排的方式变化。
  • 早期的生物电线索会对身体形态产生持久影响,影响器官和四肢的形成。
  • 发育过程中生物电信号中断会导致出生缺陷。
  • 研究人员可以操纵生物电信号来改变发育,证明这些信号的指导作用。例子包括在蝌蚪中诱导出额外的眼睛或四肢。
  • 生物电模式存在于已知遗传因素进入过程之前

迈克尔·莱文 生物电101速成课程 第六课:生物电与发育:身体如何从单个细胞生长

想想你能想象到的最不可思议的转变。 也许是毛毛虫变成了蝴蝶。 现在,将其乘以一百万,你可能会接近胚胎发育的奇迹。 这是单个受精卵细胞——合子——分裂并转化为复杂的多细胞生物的过程,该生物体具有数万亿个细胞,所有细胞都组织成复杂的组织、器官和身体结构。 这是怎么发生的?

长期以来,生物学家主要关注遗传密码——DNA——作为发育的“总体规划”。 DNA 无疑是必不可少的。 它包含构建构成细胞和组织的所有蛋白质的指令。 但是 DNA 就像一台非常复杂的机器的零件清单。 它告诉你需要哪些组件,但它并没有告诉你如何以正确的顺序和正确的位置组装它们

想象一下,仅仅根据零件清单尝试制造一辆汽车,没有图表,也没有关于如何将它们组合在一起的说明。 这将是不可能的! 同样,仅靠遗传密码无法完全解释胚胎发育惊人的精确性和复杂性。

这就是生物电发挥作用的地方。 我们在前面的课程中一直在探索的生物电信号——膜电位、离子流、电压梯度和间隙连接通讯——在发育中起着至关重要的指导作用。 它们不仅仅是发展的副产品; 它们积极地指导这个过程。

可以这样想:DNA 是硬件(物理组件),生物电是软件(指令和信息处理),告诉硬件做什么以及如何组织自己。

这种“生物电软件”是如何工作的? 关键在于创建模式。 离子通道、离子泵和间隙连接的共同活动在发育中的胚胎中建立了一个动态的、空间组织的电压模式。 这种模式就像一个生物电的“蓝图”或“坐标系”。 它为细胞提供位置信息。 它告诉他们:

  • 他们在哪里:“你在头部区域,而不是尾部区域。”
  • 要变成什么:“你应该成为神经细胞,而不是肌肉细胞。”
  • 去哪里:“你需要迁移到这个特定位置才能形成眼睛的一部分。”

这种生物电模式不是静态的; 它会随着时间的推移以精确编排的顺序发生变化。 这些变化是由离子通道的打开和关闭、离子泵的活动以及间隙连接通讯的调节驱动的。 该过程中的早期线索会对发育产生长期而巨大的影响,例如决定头部或四肢放置等主要结构安排。 你整个身体的整个布局,以及细胞变成什么、做什么以及去哪里,很大程度上都受到这些力量的调节。

这就像一场复杂的舞蹈,舞者(细胞)由音乐(生物电信号)引导。 音乐不仅仅是背景噪音; 它为舞蹈提供指导。


  • 早期胚胎模式: 即使在发育的早期阶段,在器官开始形成之前,也有生物电模式建立了基本的身体计划——头尾轴、左右不对称等等。
  • 神经管形成: 产生大脑和脊髓的神经管是通过生物电信号引导的过程形成的。
  • 眼睛发育: 眼睛的形成是一个复杂的过程,涉及不同组织之间的一系列诱导信号。 生物电信号在这种诱导中起着至关重要的作用,指定眼睛应该在哪里形成并指导不同眼睛结构的生长。 迈克尔·莱文甚至在青蛙的肠道中长出了眼睛。 这不是从基因上改变细胞的密码,只是给出了新的生物电“指令”。
  • 肢体发育: 四肢(手臂、腿、翅膀、鳍)的生长和模式也受生物电信号控制。
  • 心脏发育。心脏及其跳动是另一个电学奇迹。
  • 器官放置和形状形成。几乎所有生物体发育过程中的大规模解剖和排列变化,都关键地依赖于生物电输入的指导!

也许生物电的指导作用最引人注目的证据来自研究人员在发育过程中操纵生物电信号的实验。 迈克尔·莱文的实验室在这一领域做了一些开创性的工作。 例如:

  • 有额外眼睛的蝌蚪: 通过改变蝌蚪中某些细胞的膜电位,他们能够在通常不形成眼睛的位置诱导出额外的眼睛——甚至在蝌蚪的尾巴肠道上。 这表明生物电信号可以覆盖正常的发育程序并在意想不到的位置诱导复杂器官的形成。
  • 头部形状改变的扁虫: 正如我们在之前的课程中讨论的那样,通过操纵涡虫中的间隙连接通讯,莱文的实验室可以创造出有两个头的蠕虫,甚至没有头的蠕虫。 这表明生物电模式决定了基本的身体计划。

这些实验表明,生物电不仅仅是发育的被动结果; 它是一个积极的参与者,为细胞提供指令。 它是一种可以重新编程的“生物软件”,从而导致身体形态的巨大变化。

如果发育过程中的生物电信号出错会发生什么? 可悲的是,这会导致出生缺陷。 离子通道功能、间隙连接通讯或生物电机制的其他方面的中断会干扰正常发育程序,导致器官或身体结构形成异常。 例如,与心脏细胞通过必需的间隙连接正确连接的能力相关的基因中断。 心脏是一个有节奏地收缩跳动的电能,它至关重要地依赖于电力!

了解生物电在发育中的作用不仅仅是为了满足我们的科学好奇心; 它对医学具有深远的影响。 如果我们能学会“读取”和“书写”生物电密码,我们或许能够:

  • 预防出生缺陷: 通过纠正怀孕期间异常的生物电信号。
  • 再生受损的组织和器官: 通过重建正确的生物电模式。
  • 开发新的癌症疗法: 通过规范化肿瘤中被破坏的生物电信号。


迈克尔·莱文 生物电101速成课程 第六课:生物电与发育:身体如何从单个细胞生长 小测验

1. 什么是胚胎发育?

A) 单个受精卵细胞发育成复杂生物体的过程。
B) 毛毛虫变成蝴蝶的过程。
C) 伤口愈合的过程。
D) 衰老的过程。

2. 对或错:遗传密码 (DNA) 是胚胎发育的唯一决定因素。

A) 对
B) 错

3. 生物电在发育中的“指导”作用是什么?

A) 它仅仅是细胞过程的结果,没有其他作用。
B) 生物电信号主动引导发育,为细胞提供位置信息。
C) 生物电只影响神经系统。
D) 生物电在发育中不重要。

4. 发育过程中的生物电模式可以比作:

A) 机器的零件清单。
B) 蓝图或坐标系。
C) 随机的电压混合。
D) 静态的、不变的地图。

5. 生物电信号在发育过程中告诉细胞什么?

A) 什么都没有
B) 他们应该成为什么以及何时。
C) 在哪里死亡。
D) 他们应该成为什么以及去哪里在组织内。

6. 哪些因素产生了对发育重要的生物电信号?

A) 仅离子通道。
B) 仅间隙连接。
C) 离子通道、离子泵和间隙连接。
D) 仅遗传信号。

7. 对或错:生物电信号在整个发育过程中是静态的。

A) 正确。
B) 错误。

8. 在发育过程中操纵生物电信号的实验表明:

A) 生物电对发育没有影响。
B) 生物电信号可以覆盖正常的发育程序并在意想不到的位置诱导结构形成。
C) 生物电只影响细胞的颜色。
D) 生物电只在植物中重要。

9. 发育过程中生物电信号中断会导致:

A) 超能力。
B) 智力提高。
C) 先天缺陷.
D) 寿命延长.

10. 迈克尔·莱文的实验室进行的实验包括:

A) 创造有翅膀的老鼠
B) 诱导蝌蚪出现额外的眼睛。
C) 在猪身上长出人类四肢
D) 把鱼变成哺乳动物

11. 合子的初始步骤涉及….?

A) 立即发生大规模化学变化,没有电场。
B) 不需要信号,它无需进一步的信号即可自行启动。
C) 快速的生物电信号,它开始发出重要的信息来指导发育,这是在已知的化学因素开始发挥作用之前设定的。
D) 生物电只对神经细胞起作用。

12. 哪个更密切地代表 DNA 和生物电关系?

A) DNA 和生物电没有重叠
B) DNA 提供了细胞可能变成什么,而电压图景提供了何时、何地以及它们最终扮演什么确切角色
C) DNA 最占优势,生物电信号对其存在没有太大贡献。
D) 以上都不是

13. 哪些重大转变依赖于生物电?

A) 器官发育和放置
B) 建立身体计划的早期胚胎模式。
C) 整个四肢和身体部位的生长。
D) 以上都是。

14. 用房屋建造类比,哪个最能捕捉到“指导性”力量?

A) 仅靠砖块不会指导其组装。
B) 生物电提供重要的输入。
C) 蓝图和“指导”材料放置位置的工头代表指导角色。
D) 以上都是

15. 生物电为细胞提供:

A) 它在哪里
B) 它是什么类型/应该成为什么类型。
C) 去哪里
D) 以上都是。

16. 一个生物体代表:

A) 数万亿个独立的细胞。
B) 一个非常松散的集合,在没有“了解”其邻居的情况下工作
C) 数万亿个细胞大规模协作。
D) 以上都是

17. 根据生物电研究,大的解剖变化之前会发生什么?

A) 生物电场发生变化,细胞改变表达之前
B) 解剖结构发生变化之前没有任何变化,它是一起发生的。
C) 化学信号。
D) 以上都是

18. 通过能够在动物生命的关键生长期控制生物电场,这意味着生物工程师将有能力……?

A) …生长任何结构。
B) ….通过将其重新整合回组织的更大程序来控制肿瘤
C) 修复先天性缺陷。
D) 以上都是

19. 对或错:如果我们获得了掌握生物电的能力,我们最终可以影响大型解剖结构的建造、重建、修复和维护?

A) 正确
B) 错误

20. 生物电在活组织中有多重要?

A) 它起着非常重要的作用,可以极大地颠覆之前对生命的认识,尤其是发育和再生。
B) 微不足道,充其量是微不足道的。
C) 这是不可能的
D) 仅与神经科学家相关

迈克尔·莱文 生物电101速成课程 第六课:生物电与发育:身体如何从单个细胞生长 答案表

1. A

2. B

3. B

4. B

5. D

6. C

7. B

8. B

9. C

10. B

11. C

12. B

13. D

14. D

15. D

16. C

17. A

18. D

19. A

20. A